(Source)
........
1.
Computed, not measured: a geometry-optimized K2YBi2 structure at the GGA-PBE level of DFT.

Properties
ΔH_f (0 K), eV/atom: -0.170
Space group: P4/mbm
Calculated volume, Å³/atom: 36.00
Density, g/cm³: 5.4

Cell: 9.638 9.638 3.875 Å, 90.00 90.00 90.00°
Sites, in units of the cell vectors:
K  0.114  0.386  0.000
K  0.386  0.886  0.000
K  0.614  0.114  0.000
K  0.886  0.614  0.000
Y  0.000  0.000  0.500
Y  0.500  0.500  0.500
Bi  0.188  0.688  0.500
Bi  0.312  0.188  0.500
Bi  0.688  0.812  0.500
Bi  0.812  0.312  0.500

---

2.
Computed, not measured: a geometry-optimized KYBi2 structure at the GGA-PBE level of DFT.

Properties
ΔH_f (0 K), eV/atom: -0.385
Space group: R-3m
ΔE to the lowest computed polymorph, meV/atom: 156.1
Calculated volume, Å³/atom: 38.32
Density, g/cm³: 5.9

Cell: 9.103 9.103 9.103 Å, 28.65 28.65 28.65°
Sites, in units of the cell vectors:
K  0.000  0.000  0.000
Y  0.500  0.500  0.500
Bi  0.235  0.235  0.235
Bi  0.765  0.765  0.765

---

3.
Computed, not measured: a geometry-optimized KYBi2 structure at the GGA-PBE level of DFT.

Properties
ΔH_f (0 K), eV/atom: -0.352
Space group: Fm-3m
ΔE to the lowest computed polymorph, meV/atom: 188.8
Calculated volume, Å³/atom: 32.37
Density, g/cm³: 7.0

Cell: 5.679 5.679 5.679 Å, 60.00 60.00 60.00°
Sites, in units of the cell vectors:
K  0.000  0.000  0.000
Y  0.500  0.500  0.500
Bi  0.250  0.250  0.250
Bi  0.750  0.750  0.750

---

4.
Computed, not measured: a geometry-optimized K3YBi structure at the GGA-PBE level of DFT.

Properties
ΔH_f (0 K), eV/atom: 0.454
Space group: Pm-3m
ΔE to the lowest computed polymorph, meV/atom: 0.0
Calculated volume, Å³/atom: 61.44
Density, g/cm³: 2.2

Cell: 6.747 6.747 6.747 Å, 90.00 90.00 90.00°
Sites, in units of the cell vectors:
K  0.000  0.000  0.500
K  0.000  0.500  0.000
K  0.500  0.000  0.000
Y  0.500  0.500  0.500
Bi  0.000  0.000  0.000

---

5.
Computed, not measured: a geometry-optimized KZnBi structure at the GGA-PBE level of DFT.

Properties
ΔH_f (0 K), eV/atom: -0.201
Space group: Fddd
Calculated volume, Å³/atom: 32.03
Density, g/cm³: 5.4

Cell: 8.958 8.488 7.483 Å, 67.90 61.39 50.71°
Sites, in units of the cell vectors:
K  0.064  0.686  0.686
K  0.314  0.936  0.936
K  0.686  0.064  0.064
K  0.936  0.314  0.314
Zn  0.249  0.249  0.501
Zn  0.499  0.499  0.751
Zn  0.501  0.501  0.249
Zn  0.751  0.751  0.499
Bi  0.175  0.575  0.175
Bi  0.425  0.825  0.425
Bi  0.575  0.175  0.575
Bi  0.825  0.425  0.825

---

6.
Computed, not measured: a geometry-optimized K3Zn2Bi3 structure at the GGA-PBE level of DFT.

Properties
ΔH_f (0 K), eV/atom: -0.273
Space group: Cmcm
Calculated volume, Å³/atom: 33.27
Density, g/cm³: 5.5

Cell: 6.629 6.629 16.851 Å, 90.00 90.00 134.04°
Sites, in units of the cell vectors:
K  0.080  0.920  0.619
K  0.080  0.920  0.881
K  0.383  0.617  0.750
K  0.617  0.383  0.250
K  0.920  0.080  0.119
K  0.920  0.080  0.381
Zn  0.216  0.784  0.099
Zn  0.216  0.784  0.401
Zn  0.784  0.216  0.599
Zn  0.784  0.216  0.901
Bi  0.312  0.688  0.250
Bi  0.374  0.626  0.529
Bi  0.374  0.626  0.971
Bi  0.626  0.374  0.029
Bi  0.626  0.374  0.471
Bi  0.688  0.312  0.750

---

7.
Computed, not measured: a geometry-optimized K2Zn2Bi structure at the GGA-PBE level of DFT.

Properties
ΔH_f (0 K), eV/atom: -0.054
Space group: I4/mmm
ΔE to the lowest computed polymorph, meV/atom: 33.3
Calculated volume, Å³/atom: 31.42
Density, g/cm³: 4.4

Cell: 11.901 11.901 11.901 Å, 162.22 162.22 25.24°
Sites, in units of the cell vectors:
K  0.112  0.112  0.000
K  0.888  0.888  0.000
Zn  0.250  0.750  0.500
Zn  0.750  0.250  0.500
Bi  0.500  0.500  0.000

---

8.
Computed, not measured: a geometry-optimized K3Zn2Bi2 structure at the GGA-PBE level of DFT.

Properties
ΔH_f (0 K), eV/atom: -0.231
Space group: Pbcm
Calculated volume, Å³/atom: 35.49
Density, g/cm³: 4.5

Cell: 6.723 10.030 14.739 Å, 90.00 90.00 90.00°
Sites, in units of the cell vectors:
K  0.118  0.135  0.108
K  0.118  0.135  0.392
K  0.118  0.365  0.608
K  0.118  0.365  0.892
........

(Activity)
Could you filter the contents further above: keep the lines with the word "at"?

(Worked solution)
Computed, not measured: a geometry-optimized K2YBi2 structure at the GGA-PBE level of DFT.
Computed, not measured: a geometry-optimized KYBi2 structure at the GGA-PBE level of DFT.
Computed, not measured: a geometry-optimized KYBi2 structure at the GGA-PBE level of DFT.
Computed, not measured: a geometry-optimized K3YBi structure at the GGA-PBE level of DFT.
Computed, not measured: a geometry-optimized KZnBi structure at the GGA-PBE level of DFT.
Computed, not measured: a geometry-optimized K3Zn2Bi3 structure at the GGA-PBE level of DFT.
Computed, not measured: a geometry-optimized K2Zn2Bi structure at the GGA-PBE level of DFT.
Computed, not measured: a geometry-optimized K3Zn2Bi2 structure at the GGA-PBE level of DFT.